== Excerpt ==
- - -
GdCo2Si2: calculated powder X-ray diffraction pattern (CuKα), based on a cell relaxed with PBE.

Principal peaks in the range 10° ≤ 2θ ≤ 90°, in order of rising 2θ:
Position (°2θ)  I/Imax
24.57  51
35.77  59
36.50  17
37.40  100
46.62  39
52.03  18
60.12  26
60.61  15
66.29  19
80.33  20

```
data_GdCo2Si2
_chemical_formula_sum 'Gd1 Co2 Si2'
_cell_length_a 5.6422
_cell_length_b 5.6422
_cell_length_c 5.6422
_cell_angle_alpha 139.60
_cell_angle_beta 139.60
_cell_angle_gamma 58.46
_symmetry_space_group_name_H-M 'P 1'
_symmetry_Int_Tables_number 1
loop_
_symmetry_equiv_pos_as_xyz
'x,y,z'
loop_
_atom_site_label
_atom_site_fract_x
_atom_site_fract_y
_atom_site_fract_z
Gd1 0.0000 0.0000 0.0000
Co1 0.2500 0.7500 0.5000
Co2 0.7500 0.2500 0.5000
Si1 0.3703 0.3703 0.0000
Si2 0.6297 0.6297 0.0000
```



Ti2Tl3P5S18: calculated powder X-ray diffraction pattern (CuKα), based on a cell relaxed with PBE.

Principal peaks in the range 10° ≤ 2θ ≤ 90°, in order of rising 2θ:
Position (°2θ)  I/Imax
10.04  73
14.69  49
18.76  65
20.17  34
21.47  42
25.51  32
27.92  34
30.45  38
30.95  45
31.47  100

```
data_Ti2Tl3P5S18
_chemical_formula_sum 'Ti4 Tl6 P10 S36'
_cell_length_a 12.0327
_cell_length_b 12.0327
_cell_length_c 20.9205
_cell_angle_alpha 106.14
_cell_angle_beta 106.14
_cell_angle_gamma 30.95
_symmetry_space_group_name_H-M 'P 1'
_symmetry_Int_Tables_number 1
loop_
_symmetry_equiv_pos_as_xyz
'x,y,z'
loop_
_atom_site_label
_atom_site_fract_x
_atom_site_fract_y
_atom_site_fract_z
Ti1 0.2413 0.7587 0.5000
Ti2 0.4765 0.9943 0.7419
Ti3 0.7587 0.2413 0.0000
Ti4 0.9943 0.4765 0.2419
Tl1 0.3318 0.5861 0.6939
Tl2 0.5528 0.6735 0.8665
Tl3 0.5861 0.3318 0.1939
Tl4 0.6497 0.9005 0.5471
Tl5 0.6735 0.5528 0.3665
Tl6 0.9005 0.6497 0.0471
P1 0.0726 0.9185 0.3565
P2 0.1608 0.3199 0.3858
P3 0.2745 0.4757 0.5132
P4 0.3199 0.1608 0.8858
P5 0.3660 0.8689 0.6211
P6 0.4757 0.2745 0.0132
P7 0.7606 0.9602 0.7292
P8 0.8689 0.3660 0.1211
P9 0.9185 0.0726 0.8565
P10 0.9602 0.7606 0.2292
S1 0.9998 0.8076 0.1605
S2 0.0033 0.0911 0.7976
S3 0.0073 0.7911 0.4891
S4 0.0911 0.0033 0.2976
S5 0.0970 0.9450 0.9471
S6 0.1121 0.9708 0.6086
S7 0.1226 0.2647 0.1337
S8 0.1368 0.2417 0.4458
S9 0.1399 0.2894 0.7954
S10 0.2272 0.4447 0.2533
S11 0.2358 0.4279 0.5820
S12 0.2417 0.1368 0.9458
S13 0.2647 0.1226 0.6337
S14 0.2657 0.3897 0.9241
S15 0.2894 0.1399 0.2954
S16 0.3618 0.6060 0.3857
S17 0.3897 0.2657 0.4241
S18 0.4011 0.5112 0.0344
S19 0.4279 0.2358 0.0820
S20 0.4447 0.2272 0.7533
S21 0.5112 0.4011 0.5344
S22 0.5223 0.6725 0.5358
S23 0.5644 0.7112 0.7062
S24 0.6060 0.3618 0.8857
S25 0.6310 0.8685 0.8560
S26 0.6725 0.5223 0.0358
S27 0.7112 0.5644 0.2062
S28 0.7239 0.8345 0.2076
S29 0.7911 0.0073 0.9891
S30 0.8076 0.9998 0.6605
S31 0.8345 0.7239 0.7076
S32 0.8453 0.9695 0.3183
S33 0.8685 0.6310 0.3560
S34 0.9450 0.0970 0.4471
S35 0.9695 0.8453 0.8183
S36 0.9708 0.1121 0.1086
```



What did the first record say?
GdCo2Si2: calculated powder X-ray diffraction pattern (CuKα), based on a cell relaxed with PBE.

Principal peaks in the range 10° ≤ 2θ ≤ 90°, in order of rising 2θ:
Position (°2θ)  I/Imax
24.57  51
35.77  59
36.50  17
37.40  100
46.62  39
52.03  18
60.12  26
60.61  15
66.29  19
80.33  20

```
data_GdCo2Si2
_chemical_formula_sum 'Gd1 Co2 Si2'
_cell_length_a 5.6422
_cell_length_b 5.6422
_cell_length_c 5.6422
_cell_angle_alpha 139.60
_cell_angle_beta 139.60
_cell_angle_gamma 58.46
_symmetry_space_group_name_H-M 'P 1'
_symmetry_Int_Tables_number 1
loop_
_symmetry_equiv_pos_as_xyz
'x,y,z'
loop_
_atom_site_label
_atom_site_fract_x
_atom_site_fract_y
_atom_site_fract_z
Gd1 0.0000 0.0000 0.0000
Co1 0.2500 0.7500 0.5000
Co2 0.7500 0.2500 0.5000
Si1 0.3703 0.3703 0.0000
Si2 0.6297 0.6297 0.0000
```



Question: What is the formula in the first record?
Answer: GdCo2Si2
- - -

== Activity ==
Copy everything further above without altering anything.

== Done ==
GdCo2Si2: calculated powder X-ray diffraction pattern (CuKα), based on a cell relaxed with PBE.

Principal peaks in the range 10° ≤ 2θ ≤ 90°, in order of rising 2θ:
Position (°2θ)  I/Imax
24.57  51
35.77  59
36.50  17
37.40  100
46.62  39
52.03  18
60.12  26
60.61  15
66.29  19
80.33  20

```
data_GdCo2Si2
_chemical_formula_sum 'Gd1 Co2 Si2'
_cell_length_a 5.6422
_cell_length_b 5.6422
_cell_length_c 5.6422
_cell_angle_alpha 139.60
_cell_angle_beta 139.60
_cell_angle_gamma 58.46
_symmetry_space_group_name_H-M 'P 1'
_symmetry_Int_Tables_number 1
loop_
_symmetry_equiv_pos_as_xyz
'x,y,z'
loop_
_atom_site_label
_atom_site_fract_x
_atom_site_fract_y
_atom_site_fract_z
Gd1 0.0000 0.0000 0.0000
Co1 0.2500 0.7500 0.5000
Co2 0.7500 0.2500 0.5000
Si1 0.3703 0.3703 0.0000
Si2 0.6297 0.6297 0.0000
```



Ti2Tl3P5S18: calculated powder X-ray diffraction pattern (CuKα), based on a cell relaxed with PBE.

Principal peaks in the range 10° ≤ 2θ ≤ 90°, in order of rising 2θ:
Position (°2θ)  I/Imax
10.04  73
14.69  49
18.76  65
20.17  34
21.47  42
25.51  32
27.92  34
30.45  38
30.95  45
31.47  100

```
data_Ti2Tl3P5S18
_chemical_formula_sum 'Ti4 Tl6 P10 S36'
_cell_length_a 12.0327
_cell_length_b 12.0327
_cell_length_c 20.9205
_cell_angle_alpha 106.14
_cell_angle_beta 106.14
_cell_angle_gamma 30.95
_symmetry_space_group_name_H-M 'P 1'
_symmetry_Int_Tables_number 1
loop_
_symmetry_equiv_pos_as_xyz
'x,y,z'
loop_
_atom_site_label
_atom_site_fract_x
_atom_site_fract_y
_atom_site_fract_z
Ti1 0.2413 0.7587 0.5000
Ti2 0.4765 0.9943 0.7419
Ti3 0.7587 0.2413 0.0000
Ti4 0.9943 0.4765 0.2419
Tl1 0.3318 0.5861 0.6939
Tl2 0.5528 0.6735 0.8665
Tl3 0.5861 0.3318 0.1939
Tl4 0.6497 0.9005 0.5471
Tl5 0.6735 0.5528 0.3665
Tl6 0.9005 0.6497 0.0471
P1 0.0726 0.9185 0.3565
P2 0.1608 0.3199 0.3858
P3 0.2745 0.4757 0.5132
P4 0.3199 0.1608 0.8858
P5 0.3660 0.8689 0.6211
P6 0.4757 0.2745 0.0132
P7 0.7606 0.9602 0.7292
P8 0.8689 0.3660 0.1211
P9 0.9185 0.0726 0.8565
P10 0.9602 0.7606 0.2292
S1 0.9998 0.8076 0.1605
S2 0.0033 0.0911 0.7976
S3 0.0073 0.7911 0.4891
S4 0.0911 0.0033 0.2976
S5 0.0970 0.9450 0.9471
S6 0.1121 0.9708 0.6086
S7 0.1226 0.2647 0.1337
S8 0.1368 0.2417 0.4458
S9 0.1399 0.2894 0.7954
S10 0.2272 0.4447 0.2533
S11 0.2358 0.4279 0.5820
S12 0.2417 0.1368 0.9458
S13 0.2647 0.1226 0.6337
S14 0.2657 0.3897 0.9241
S15 0.2894 0.1399 0.2954
S16 0.3618 0.6060 0.3857
S17 0.3897 0.2657 0.4241
S18 0.4011 0.5112 0.0344
S19 0.4279 0.2358 0.0820
S20 0.4447 0.2272 0.7533
S21 0.5112 0.4011 0.5344
S22 0.5223 0.6725 0.5358
S23 0.5644 0.7112 0.7062
S24 0.6060 0.3618 0.8857
S25 0.6310 0.8685 0.8560
S26 0.6725 0.5223 0.0358
S27 0.7112 0.5644 0.2062
S28 0.7239 0.8345 0.2076
S29 0.7911 0.0073 0.9891
S30 0.8076 0.9998 0.6605
S31 0.8345 0.7239 0.7076
S32 0.8453 0.9695 0.3183
S33 0.8685 0.6310 0.3560
S34 0.9450 0.0970 0.4471
S35 0.9695 0.8453 0.8183
S36 0.9708 0.1121 0.1086
```



What did the first record say?
GdCo2Si2: calculated powder X-ray diffraction pattern (CuKα), based on a cell relaxed with PBE.

Principal peaks in the range 10° ≤ 2θ ≤ 90°, in order of rising 2θ:
Position (°2θ)  I/Imax
24.57  51
35.77  59
36.50  17
37.40  100
46.62  39
52.03  18
60.12  26
60.61  15
66.29  19
80.33  20

```
data_GdCo2Si2
_chemical_formula_sum 'Gd1 Co2 Si2'
_cell_length_a 5.6422
_cell_length_b 5.6422
_cell_length_c 5.6422
_cell_angle_alpha 139.60
_cell_angle_beta 139.60
_cell_angle_gamma 58.46
_symmetry_space_group_name_H-M 'P 1'
_symmetry_Int_Tables_number 1
loop_
_symmetry_equiv_pos_as_xyz
'x,y,z'
loop_
_atom_site_label
_atom_site_fract_x
_atom_site_fract_y
_atom_site_fract_z
Gd1 0.0000 0.0000 0.0000
Co1 0.2500 0.7500 0.5000
Co2 0.7500 0.2500 0.5000
Si1 0.3703 0.3703 0.0000
Si2 0.6297 0.6297 0.0000
```



Question: What is the formula in the first record?
Answer: GdCo2Si2